
1 State of Research

Service science studies complex socio-technical systems. To understand these systems, service science requires a multidisciplinary approach and a combination of methods and logic from various fields, such as computer science, psychology, design, and marketing [1]. We are interested in advancing service science by combining three research areas, namely: opportunity recognition, business modeling, and software engineering.

The desired outcome of this doctoral dissertation is a design method of service systems (Fig. 1) that links together three levels – an individual intuition of business, an organization of business, and an IT implementation. On the first design level, an individual, inspired by their environment, has business ideas that they believe to be valuable to a customer segment. In collaboration with other people, this individual designs the second (organizational) level to be a service system. The organizational level then feeds the third (IT implementation) level with fuzzy business needs. And the IT implementation phase yields a concrete artifact.

Fig. 1.
figure 1

Provisional service systems design method

On each level, there are the following flows:

  • Input – information received from the previous step;

  • Output – processed data provided to the next level;

  • Feedback – meta information to guide the service designer in their work.

1.1 Individual Level

The literature describes opportunity recognition (identification) as a cognitive process that consists of active or passive search, alertness, and prior knowledge [2]. Tang et al. [3] argue that the most prominent traits for opportunity identification is entrepreneurial alertness. The pattern-recognition framework [2] describes the opportunity recognition phenomenon as entrepreneurs being able to draw parallels and find similarities (i.e., patterns) in various contexts, with an alertness that surpasses active search for information. Individuals use cognitive maps to internally represent the perceived information, and these maps link together seemingly unrelated notations into opportunities [4]. The last step is a reconfiguration of elements [5], which leads to an individual’s proposal for a new reality to the society, hence, social construction.

Issues: The individual’s intuition about a business opportunity does not translate flawlessly to the next level, where a group of people should achieve a shared understanding.

  • Input: identification of observations, which leads to a business idea;

  • Output: conceptualization of the observations of the individual, first level of structuring;

  • Feedback: definition of the information the individual should seek to evaluate their perception regarding the business idea.

1.2 Organizational Level

This new reality goes beyond an individual’s cognitive map and into an explicit shared understanding of what the envisioned reality would be. Entrepreneurs often use business models to communicate their business proposition with others. A business model captures the most important parts of a business – the way it creates and captures value for a particular set of customers [6]. From a broad perspective, a business model is a story that explains how the enterprise works [7]. As a business model is an abstraction (it hides the complexity of implementation), the outcome of the implementation differs from this abstract description. We need feedback on the hypotheses in order to adjust the current situation and to be able to achieve the to-be state for the organization.

Issues: On the organization level, the transition between an individual’s idea (an imagined service to deliver value) to a structured definition of the service system (conceptual shared service system design) is non-trivial.

(Unrelated to this article: records of crystals)
┌──
No. 1
Structure and simulated powder diffractogram of Li15Mg2Tl2 (a cell relaxed with PBE; Cu Kα (λ = 1.5418 Å)).
Peak positions follow from Bragg's law for the DFT cell and can differ from measured ones.

Peak list (10 most intense, 10° ≤ 2θ ≤ 90°, sorted by position)
(1 0 1), 12.49°, I = 100; (1 1 0), 19.11°, I = 88; (0 2 1), 22.90°, I = 25; (1 0 4), 26.26°, I = 47; (2 1 1), 29.99°, I = 25; (0 1 5), 31.91°, I = 21; (0 2 4), 32.70°, I = 24; (3 0 0), 33.42°, I = 27; (2 1 4), 38.14°, I = 31; (1 2 5), 42.39°, I = 20

```
data_Li15Mg2Tl2
_chemical_formula_sum 'Li45 Mg6 Tl6'
_cell_length_a 9.2880
_cell_length_b 9.2880
_cell_length_c 14.9605
_cell_angle_alpha 90.00
_cell_angle_beta 90.00
_cell_angle_gamma 120.00
_space_group_name_H-M_alt 'R -3 m'
_space_group_IT_number 166
_space_group_name_Hall '-R 3 2"'
loop_
_atom_site_label
_atom_site_type_symbol
_atom_site_fract_x
_atom_site_fract_y
_atom_site_fract_z
Li1 Li 0.0000 0.2847 0.0000
Li2 Li 0.0000 0.5000 0.5000
Li3 Li 0.0126 0.5063 0.1297
Mg1 Mg 0.0000 0.0000 0.3302
Tl1 Tl 0.0000 0.0000 0.1122
```

No. 2
Structure and simulated powder diffractogram of CdH2Pd (a cell relaxed with PBE; Cu Kα (λ = 1.5418 Å)).
Peak positions follow from Bragg's law for the DFT cell and can differ from measured ones.

Peak list (10 most intense, 10° ≤ 2θ ≤ 90°, sorted by position)
(1 1 0), 22.02°, I = 32; (1 1 -1), 24.60°, I = 79; (0 2 1), 28.30°, I = 66; (1 1 1), 31.08°, I = 64; (2 0 0), 38.42°, I = 41; (1 3 0), 39.05°, I = 100; (2 1 0), 40.12°, I = 31; (0 2 2), 41.60°, I = 63; (2 2 -1), 44.21°, I = 33; (1 1 2), 45.78°, I = 42

```
data_CdH2Pd
_chemical_formula_sum 'Cd4 H8 Pd4'
_cell_length_a 4.8663
_cell_length_b 7.9484
_cell_length_c 5.3828
_cell_angle_alpha 90.00
_cell_angle_beta 105.64
_cell_angle_gamma 90.00
_space_group_name_H-M_alt 'P 1 21/c 1'
_space_group_IT_number 14
_space_group_name_Hall '-P 2ybc'
loop_
_atom_site_label
_atom_site_type_symbol
_atom_site_fract_x
_atom_site_fract_y
_atom_site_fract_z
Cd1 Cd 0.2211 0.0641 0.2349
H1 H 0.1166 0.6685 0.1355
H2 H 0.4500 0.1856 0.7297
Pd1 Pd 0.3323 0.7171 0.4511
```

No. 3
Structure and simulated powder diffractogram of Dy2VFe (a cell relaxed with PBE; Cu Kα (λ = 1.5418 Å)).
Peak positions follow from Bragg's law for the DFT cell and can differ from measured ones.

Peak list (10 most intense, 10° ≤ 2θ ≤ 90°, sorted by position)
(0 0 6), 18.26°, I = 38; (0 0 9), 27.54°, I = 33; (1 0 1), 31.96°, I = 77; (0 1 2), 32.41°, I = 54; (0 1 5), 35.43°, I = 100; (0 1 8), 40.51°, I = 22; (1 0 10), 44.77°, I = 87; (0 1 11), 47.12°, I = 30; (1 1 0), 56.68°, I = 43; (1 1 15), 76.43°, I = 21

```
data_Dy2VFe
_chemical_formula_sum 'Dy6 V3 Fe3'
_cell_length_a 3.2482
_cell_length_b 3.2482
_cell_length_c 29.1477
_cell_angle_alpha 90.00
_cell_angle_beta 90.00
_cell_angle_gamma 120.00
_space_group_name_H-M_alt 'R -3 m'
_space_group_IT_number 166
_space_group_name_Hall '-R 3 2"'
loop_
_atom_site_label
_atom_site_type_symbol
_atom_site_fract_x
_atom_site_fract_y
_atom_site_fract_z
└──

  • Input: an individual’s cognitive maps;

  • Output: a definition of a service system that considers individual cognitive maps.

  • Feedback: a definition of heuristics and of metrics to be monitored from the implementation phase.

1.3 Implementation Level

********
1.
For FeCoOs, a crystal structure in Alexandria, relaxed with GGA-PBE gives the calculated powder diffraction line list in this record (CuKα).
No peak broadening, texture or thermal motion is included.

Top 8 peaks for 2θ from 10° to 90°, sorted by position:
h k l  2theta  d (Å)  I/Imax
0 0 2  23.37  3.806  40
0 1 1  27.26  3.271  55
1 0 1  36.63  2.454  26
1 1 0  42.91  2.108  100
0 1 3  43.54  2.078  96
1 0 3  50.34  1.813  93
1 2 3  73.97  1.281  38
2 1 3  89.02  1.100  24

Cell and atoms:
```
data_FeCoOs
_space_group_name_H-M_alt 'I m m 2'
_space_group_IT_number 44
_space_group_name_Hall 'I 2 -2'
_cell_length_a 2.5918
_cell_length_b 3.6226
_cell_length_c 7.6129
_cell_angle_alpha 90.00
_cell_angle_beta 90.00
_cell_angle_gamma 90.00
loop_
_atom_site_label
_atom_site_fract_x
_atom_site_fract_y
_atom_site_fract_z
Fe1 0.0000 0.0000 0.0000
Co1 0.0000 0.0000 0.3336
Os1 0.0000 0.0000 0.6674
```


2.
For Fe2CoTeOs, a crystal structure in Alexandria, relaxed with GGA-PBE gives the calculated powder diffraction line list in this record (CuKα).
No peak broadening, texture or thermal motion is included.

Top 8 peaks for 2θ from 10° to 90°, sorted by position:
h k l  2theta  d (Å)  I/Imax
1 0 0  20.22  4.391  23
1 1 0  28.75  3.105  40
1 1 1  35.03  2.562  100
0 0 2  39.77  2.267  32
2 0 0  41.11  2.196  57
2 0 2  58.53  1.577  39
3 1 1  70.99  1.328  25
2 2 2  74.00  1.281  19

Cell and atoms:
```
data_Fe2CoTeOs
_space_group_name_H-M_alt 'P 4/m m m'
_space_group_IT_number 123
_space_group_name_Hall '-P 4 2'
_cell_length_a 4.3914
_cell_length_b 4.3914
_cell_length_c 4.5335
_cell_angle_alpha 90.00
_cell_angle_beta 90.00
_cell_angle_gamma 90.00
loop_
_atom_site_label
_atom_site_fract_x
_atom_site_fract_y
_atom_site_fract_z
Fe1 0.0000 0.5000 0.0000
Co1 0.0000 0.0000 0.0000
Te1 0.5000 0.5000 0.5000
Os1 0.0000 0.0000 0.5000
```


3.
For FeCoP4, a crystal structure in Alexandria, relaxed with GGA-PBE gives the calculated powder diffraction line list in this record (CuKα).
No peak broadening, texture or thermal motion is included.

Top 8 peaks for 2θ from 10° to 90°, sorted by position:
h k l  2theta  d (Å)  I/Imax
1 1 -1  26.84  3.322  100
1 1 1  30.11  2.968  84
0 2 2  46.91  1.937  65
2 2 0  47.17  1.927  56
2 0 2  52.26  1.750  45
1 1 -3  53.88  1.702  47
1 3 -1  53.95  1.700  50
3 1 -1  54.35  1.688  48

Cell and atoms:
```
data_FeCoP4
_space_group_name_H-M_alt 'P 1 21/c 1'
_space_group_IT_number 14
_space_group_name_Hall '-P 2ybc'
_cell_length_a 5.3866
_cell_length_b 5.5952
_cell_length_c 5.4406
_cell_angle_alpha 90.00
_cell_angle_beta 99.39
_cell_angle_gamma 90.00
loop_
_atom_site_label
_atom_site_fract_x
_atom_site_fract_y
_atom_site_fract_z
Fe1 0.0000 0.0000 0.0000
Co1 0.5000 0.0000 0.5000
P1 0.1120 0.1372 0.3986
P2 0.3101 0.6977 0.2713
```


4.
For Pa3Fe8Co, a crystal structure in Alexandria, relaxed with GGA-PBE gives the calculated powder diffraction line list in this record (CuKα).
No peak broadening, texture or thermal motion is included.
********

The implementation level calls for an alignment between business and IT. Zachman [8] introduces an information-systems architecture that is foundational to the field of enterprise and service-oriented architecture. Weigand et al. [9] argue that to achieve alignment in enterprise architecture, we need to adopt a service perspective. IT-business alignment can be based on a transformation of values. For example, value-based software engineering recognizes the need for market justification information and communication technology (ICT) infrastructure [10]. This value-based view over software engineering serves as grounds for service-oriented modeling methods such as SEAM (Systemic Enterprise Architecture Methodology). SEAM is a family of methods for strategic thinking, business/IT alignment, and requirements engineering. SEAM is based on software engineering and on systems thinking philosophical principles [11].

Issues: On the implementation level, we need to define a desired input that corresponds to concrete business needs and is implementable (i.e., minimizing uncertainty). By tracing the business value, we need to be able to justify the software requirements. In addition, we need to be able to supply relevant metrics to the organization level in order to test business hypotheses.

  • Input: mapping between the business needs and service requirements.

  • Output: service that delivers a concrete IT artifact to service adopters.

  • Feedback: data from the interaction to feed the feedback loops in the previous level.

1.4 Current Research

One existing research project in our area of research is on the alignment of human-centered service systems with corresponding business models [12]. This project focuses on designing principles in order to facilitate this alignment. It is a research project in its early stages; it has been presented as a research-in-progress. The goal of the project is to implement service innovations and their corresponding business models. The design principles guide service designers towards which actions to take. So far, two principles have been stated: define scenarios, and define scale and scope of the innovation. The validation of the principles is ongoing. The project does not consider IT implementation. In addition, it features few details on the individual’s cognition.

Hypothesis-testing entrepreneurship is based on the approach called Lean Startup [13]. It is a practice-oriented approach towards entrepreneurship. The presented work is a case that is summarized in [14]. This approach describes steps for achieving a product-market fit. Yet, the details on information and value exchange are minimal. The method is well-recognized in the industry but could be extended by data collection, analysis, and validation.

The current state of SEAM, the method for enterprise and service-oriented architecture, developed in our laboratory, includes models for analyzing and designing service-adopter motivation and the value-based alignment of hierarchical service systems. Our project uses SEAM to design service systems that connect the organizational and implementation levels, with a focus on value transformation between the levels. Potentially, we could extend SEAM to the individual designer’s level and add explicit feedback mechanisms between levels.

2 State of Research Work Performed by Student

Our research involves three contexts: (1) on an individual level within a business design class for computer science students; (2) within the context of a collaborating startup, where we observe the transition from an individual level to an organizational level and to initial implementation; (3) within the context of an established company and implementation in a structured context:

  • Teaching (individual): We describe our teaching approach that is based on experiential learning, systems thinking and service-dominant logic. Using repetition, we explain to our students how to recognize principles and patterns that exist in practice and how to apply the same principles and patterns in different contexts. During the 2017 semester, we collected data with two questionnaires. The project was presented as a research-in-progress at ISPIM 2017 [15]. We test our hypotheses about how individuals perceive business opportunities, how they structure their business ideas, and how they begin to model businesses.

  • Startups (from individual to organization): We investigate how startups structures their business hypotheses, make decision-making process explicit, and evolve from an unstructured organization into a structured one. Our primary goal is to trace value exchange between elements in a business model, hence to design service systems based on value transformation. In this startup context, we collect data on how multiple individuals share their perceptions, form a shared view of the business idea, and shape the business needs into IT requirements.

  • Industry (organization and implementation): We investigate the opportunity-recognition process within established companies. We collected data from a field project (four days of participation in requirements specifications workshops for a customer-relationship management system). We observe how a structured organization formalizes their business needs for new services.

**What comes next are data records, not part of the piece:**
<<<
The following is a theoretical X-ray powder pattern of Tl2FeRhO6. It was derived from a crystal structure in Alexandria, relaxed with PBE+U, using Cu Kα (weighted mean of Kα1 and Kα2).
Intensities are scaled so that the largest is 100.

Largest 10 diffraction maxima, in order of rising 2θ, 2θ from 15° to 90°:
- 22.56 deg, rel. 41.8
- 31.99 deg, rel. 100.0
- 32.25 deg, rel. 94.1
- 39.72 deg, rel. 16.1
- 46.06 deg, rel. 45.2
- 51.71 deg, rel. 16.3
- 56.86 deg, rel. 17.5
- 57.34 deg, rel. 40.9
- 57.50 deg, rel. 25.2
- 76.64 deg, rel. 15.8

Structure:
a b c (Å): 5.5952 5.5952 5.5952
angles (deg): 59.49 59.49 59.49
Fractional coordinates of all 10 atoms:
Tl1 0.0000 0.0000 0.0000
Tl2 0.4933 0.4933 0.4933
Fe1 0.2306 0.2306 0.2306
Rh1 0.7254 0.7254 0.7254
O1 0.0794 0.4581 0.8694
O2 0.3702 0.9567 0.5808
O3 0.4581 0.8694 0.0794
O4 0.5808 0.3702 0.9567
O5 0.8694 0.0794 0.4581
O6 0.9567 0.5808 0.3702
>>>
**The data records stop here:**

3 Research Methodology: Design Science Research

The research methodology is based on design science research. “Design science […] creates and evaluates IT artifacts intended to solve identified organizational problems” [16]. By designing an artifact, we solve a practical problem and contribute to the knowledge base. “Artifacts are defined as constructs (vocabulary and symbols), models (abstractions and representations), methods (algorithms and practices), and instantiations (implemented and prototype systems)” [16].

In our case (Fig. 2), the practical problem is that startups struggle to design businesses and corresponding software solutions. Our artifact is a method for designing service systems. To build a method, first, we need to identify constructs and models, which are going to correspond to inputs, outputs, and feedbacks between the levels (individual, organization, implementation), and to evaluate their relevance. We perform a literature analysis to identify what already exists, and conduct field studies to understand what is in use. We evaluate them with expert interviews and case studies. Second, we design the artifact (a service design method) by using the previously identified set. The build phase is based on literature analysis and field studies. We evaluate to what extent the proposed method solves the practical problem with expert interviews, case studies, and formal verification of models. This concludes the application in the appropriate environment. Third, we contribute to the knowledge base. The evaluation criteria on the theoretical contribution come from the knowledge base methodologies.

Fig. 2.
figure 2

Research design based on [16]

4 Doctoral Project Timeline

We follow an iterative approach. There will be three iterations, for each academic year, and a final thesis writing period after the last iteration (Table 1).

Table 1. Doctoral project timeline